### Exercise
Reproduce the calculation results further below verbatim.

### Contents
=====
A plane-wave DFT calculation with PBE-GGA was carried out for an optimized crystal structure of TlIr3Br.

Summary:
E above lowest polymorph   0 meV/atom
Total magnetization   0.000 Bohr magnetons per cell
Calculated volume   20.78 Å³/atom
ΔE_f (raw)   1.76 eV per atom

abc: 4.702 4.702 4.702
angles: 90.00 90.00 90.00
Space group Pm-3m (No. 221)
Unique sites:
Tl (0.000, 0.000, 0.000) x1
Ir (0.000, 0.500, 0.500) x3
Br (0.500, 0.500, 0.500) x1

---

A plane-wave DFT calculation with PBE-GGA was carried out for an optimized crystal structure of TlIrBr2.

Summary:
E above lowest polymorph   401 meV/atom
Total magnetization   0.000 Bohr magnetons per cell
Calculated volume   28.78 Å³/atom
ΔE_f (raw)   0.33 eV per atom

abc: 3.605 6.963 9.174
angles: 90.00 90.00 90.00
Space group Cmm2 (No. 35)
Unique sites:
Tl (0.000, 0.000, 0.000) x2
Ir (0.000, 0.500, 0.221) x2
Br (0.000, 0.000, 0.399) x2
Br (0.000, 0.500, 0.765) x2

---

A plane-wave DFT calculation with PBE-GGA was carried out for an optimized crystal structure of TlIrBr2.

Summary:
E above lowest polymorph   393 meV/atom
Total magnetization   0.000 Bohr magnetons per cell
Calculated volume   27.35 Å³/atom
ΔE_f (raw)   0.33 eV per atom

abc: 3.491 3.638 17.228
angles: 90.00 90.00 90.00
Space group Imm2 (No. 44)
Unique sites:
Tl (0.000, 0.000, 0.000) x2
Ir (0.000, 0.500, 0.353) x2
Br (0.000, 0.000, 0.603) x2
Br (0.000, 0.500, 0.814) x2

---

- Which formula does entry 2 have?
  TlIrBr2

----------

Entry 1:
The following is a DFT calculation (PBE-GGA) of a relaxed structure of BiPd6Pt23.

The space group is I4/mmm (No. 139) and the conventional cell measures 7.9195, 7.9195 and 15.7177 Å, with angles of 90.00, 90.00 and 90.00 degrees. The inequivalent atoms are Bi at (0.0000, 0.0000, 0.0000), Pd at (0.0000, 0.0000, 0.2479), Pd at (0.2490, 0.2490, 0.5000), Pt at (0.0000, 0.0000, 0.5000), Pt at (0.0000, 0.2503, 0.3717), Pt at (0.0000, 0.2635, 0.1322), Pt at (0.0000, 0.5000, 0.0000) and Pt at (0.2500, 0.2500, 0.2500).

Entry 2:
The following is a DFT calculation (PBE-GGA) of a relaxed structure of Zn2SiMo.

The calculation puts the uncorrected formation energy at 0.06 eV/atom.

The space group is C2/m (No. 12) and the conventional cell measures 5.2161, 9.6361 and 2.7248 Å, with angles of 90.00, 120.04 and 90.00 degrees. The inequivalent atoms are Zn at (0.2500, 0.2500, 0.0000), Si at (0.0000, 0.0000, 0.0000) and Mo at (0.0000, 0.5000, 0.0000).

Entry 3:
The following is a DFT calculation (PBE-GGA) of a relaxed structure of BaAsW4.

The space group is F-43m (No. 216) and the conventional cell measures 7.8662, 7.8662 and 7.8662 Å, with angles of 90.00, 90.00 and 90.00 degrees. The inequivalent atoms are Ba at (0.0000, 0.0000, 0.0000), As at (0.2500, 0.2500, 0.2500) and W at (0.1250, 0.1250, 0.6250).

Entry 4:
The following is a DFT calculation (PBE-GGA) of a relaxed structure of LiYGe2Pd.

The space group is I-4m2 (No. 119) and the conventional cell measures 4.0616, 4.0616 and 10.9636 Å, with angles of 90.00, 90.00 and 90.00 degrees. The inequivalent atoms are Li at (0.0000, 0.0000, 0.0000), Y at (0.0000, 0.5000, 0.2500), Ge at (0.0000, 0.5000, 0.6382) and Pd at (0.0000, 0.0000, 0.5000).

Entry 5:
The following is a DFT calculation (PBE-GGA) of a relaxed structure of SrMn2Re.

As for the excess energy over the best structure of this formula in the dataset: 0.4172 eV per atom.

The space group is Cmmm (No. 65) and the conventional cell measures 6.1103, 8.0609 and 2.8793 Å, with angles of 90.00, 90.00 and 90.00 degrees. The inequivalent atoms are Sr at (0.0000, 0.0000, 0.0000), Mn at (0.2500, 0.2500, 0.5000) and Re at (0.0000, 0.5000, 0.0000).

Entry 6:
The following is a DFT calculation (PBE-GGA) of a relaxed structure of Zr2PaS6.

As for the excess energy over the best structure of this formula in the dataset: 0.0301 eV per atom. The calculation puts the uncorrected formation energy at -1.45 eV/atom.
=====

### Done
A plane-wave DFT calculation with PBE-GGA was carried out for an optimized crystal structure of TlIr3Br.

Summary:
E above lowest polymorph   0 meV/atom
Total magnetization   0.000 Bohr magnetons per cell
Calculated volume   20.78 Å³/atom
ΔE_f (raw)   1.76 eV per atom

abc: 4.702 4.702 4.702
angles: 90.00 90.00 90.00
Space group Pm-3m (No. 221)
Unique sites:
Tl (0.000, 0.000, 0.000) x1
Ir (0.000, 0.500, 0.500) x3
Br (0.500, 0.500, 0.500) x1

---

A plane-wave DFT calculation with PBE-GGA was carried out for an optimized crystal structure of TlIrBr2.

Summary:
E above lowest polymorph   401 meV/atom
Total magnetization   0.000 Bohr magnetons per cell
Calculated volume   28.78 Å³/atom
ΔE_f (raw)   0.33 eV per atom

abc: 3.605 6.963 9.174
angles: 90.00 90.00 90.00
Space group Cmm2 (No. 35)
Unique sites:
Tl (0.000, 0.000, 0.000) x2
Ir (0.000, 0.500, 0.221) x2
Br (0.000, 0.000, 0.399) x2
Br (0.000, 0.500, 0.765) x2

---

A plane-wave DFT calculation with PBE-GGA was carried out for an optimized crystal structure of TlIrBr2.

Summary:
E above lowest polymorph   393 meV/atom
Total magnetization   0.000 Bohr magnetons per cell
Calculated volume   27.35 Å³/atom
ΔE_f (raw)   0.33 eV per atom

abc: 3.491 3.638 17.228
angles: 90.00 90.00 90.00
Space group Imm2 (No. 44)
Unique sites:
Tl (0.000, 0.000, 0.000) x2
Ir (0.000, 0.500, 0.353) x2
Br (0.000, 0.000, 0.603) x2
Br (0.000, 0.500, 0.814) x2

---

- Which formula does entry 2 have?
  TlIrBr2

----------

Entry 1:
The following is a DFT calculation (PBE-GGA) of a relaxed structure of BiPd6Pt23.

The space group is I4/mmm (No. 139) and the conventional cell measures 7.9195, 7.9195 and 15.7177 Å, with angles of 90.00, 90.00 and 90.00 degrees. The inequivalent atoms are Bi at (0.0000, 0.0000, 0.0000), Pd at (0.0000, 0.0000, 0.2479), Pd at (0.2490, 0.2490, 0.5000), Pt at (0.0000, 0.0000, 0.5000), Pt at (0.0000, 0.2503, 0.3717), Pt at (0.0000, 0.2635, 0.1322), Pt at (0.0000, 0.5000, 0.0000) and Pt at (0.2500, 0.2500, 0.2500).

Entry 2:
The following is a DFT calculation (PBE-GGA) of a relaxed structure of Zn2SiMo.

The calculation puts the uncorrected formation energy at 0.06 eV/atom.

The space group is C2/m (No. 12) and the conventional cell measures 5.2161, 9.6361 and 2.7248 Å, with angles of 90.00, 120.04 and 90.00 degrees. The inequivalent atoms are Zn at (0.2500, 0.2500, 0.0000), Si at (0.0000, 0.0000, 0.0000) and Mo at (0.0000, 0.5000, 0.0000).

Entry 3:
The following is a DFT calculation (PBE-GGA) of a relaxed structure of BaAsW4.

The space group is F-43m (No. 216) and the conventional cell measures 7.8662, 7.8662 and 7.8662 Å, with angles of 90.00, 90.00 and 90.00 degrees. The inequivalent atoms are Ba at (0.0000, 0.0000, 0.0000), As at (0.2500, 0.2500, 0.2500) and W at (0.1250, 0.1250, 0.6250).

Entry 4:
The following is a DFT calculation (PBE-GGA) of a relaxed structure of LiYGe2Pd.

The space group is I-4m2 (No. 119) and the conventional cell measures 4.0616, 4.0616 and 10.9636 Å, with angles of 90.00, 90.00 and 90.00 degrees. The inequivalent atoms are Li at (0.0000, 0.0000, 0.0000), Y at (0.0000, 0.5000, 0.2500), Ge at (0.0000, 0.5000, 0.6382) and Pd at (0.0000, 0.0000, 0.5000).

Entry 5:
The following is a DFT calculation (PBE-GGA) of a relaxed structure of SrMn2Re.

As for the excess energy over the best structure of this formula in the dataset: 0.4172 eV per atom.

The space group is Cmmm (No. 65) and the conventional cell measures 6.1103, 8.0609 and 2.8793 Å, with angles of 90.00, 90.00 and 90.00 degrees. The inequivalent atoms are Sr at (0.0000, 0.0000, 0.0000), Mn at (0.2500, 0.2500, 0.5000) and Re at (0.0000, 0.5000, 0.0000).

Entry 6:
The following is a DFT calculation (PBE-GGA) of a relaxed structure of Zr2PaS6.

As for the excess energy over the best structure of this formula in the dataset: 0.0301 eV per atom. The calculation puts the uncorrected formation energy at -1.45 eV/atom.